(Source)
-- begin --
LiCoP2O7 after structural relaxation, computed with PBE+U.

Values from the calculation:
- total magnetization (μB per formula unit) = 1.000
- E above lowest polymorph (eV per atom) = 0.039
- formation energy (eV per atom) = -2.314

```
data_LiCoP2O7
_cell_length_a 6.387
_cell_length_b 9.213
_cell_length_c 10.573
_cell_angle_alpha 65.27
_cell_angle_beta 86.06
_cell_angle_gamma 72.88
_symmetry_space_group_name_H-M 'P 1'
_symmetry_Int_Tables_number 1
loop_
_symmetry_equiv_pos_as_xyz
'x,y,z'
loop_
_atom_site_label
_atom_site_fract_x
_atom_site_fract_y
_atom_site_fract_z
_atom_site_occupancy
Li1 0.000 0.000 0.000 1
Li2 0.079 0.776 0.542 1
Li3 0.454 0.355 0.504 1
Li4 0.674 0.787 0.074 1
Co1 0.296 0.941 0.273 1
Co2 0.379 0.339 0.235 1
Co3 0.645 0.340 0.743 1
Co4 0.726 0.742 0.716 1
P1 0.086 0.661 0.290 1
P2 0.128 0.391 0.786 1
P3 0.317 0.037 0.536 1
P4 0.436 0.144 0.027 1
P5 0.602 0.534 0.955 1
P6 0.702 0.651 0.449 1
P7 0.905 0.279 0.190 1
P8 0.931 0.027 0.699 1
O1 0.015 0.103 0.197 1
O2 0.021 0.576 0.757 1
O3 0.027 0.950 0.845 1
O4 0.068 0.355 0.221 1
O5 0.090 0.120 0.587 1
O6 0.140 0.766 0.358 1
O7 0.233 0.303 0.945 1
O8 0.266 0.937 0.461 1
O9 0.295 0.517 0.305 1
O10 0.323 0.372 0.695 1
O11 0.380 0.982 0.052 1
O12 0.404 0.181 0.445 1
O13 0.411 0.499 0.044 1
O14 0.447 0.141 0.175 1
O15 0.460 0.913 0.670 1
O16 0.566 0.770 0.309 1
O17 0.583 0.536 0.807 1
O18 0.603 0.513 0.539 1
O19 0.641 0.167 0.947 1
O20 0.657 0.695 0.929 1
O21 0.702 0.294 0.274 1
O22 0.715 0.174 0.671 1
O23 0.753 0.749 0.523 1
O24 0.819 0.383 0.029 1
O25 0.898 0.904 0.645 1
O26 0.929 0.562 0.401 1
O27 0.964 0.303 0.781 1
O28 0.966 0.766 0.148 1
```


LiCoP2O7 after structural relaxation, computed with PBE+U.

Values from the calculation:
- total magnetization (μB per formula unit) = 0.000
- E above lowest polymorph (eV per atom) = 0.033
- formation energy (eV per atom) = -2.320

```
data_LiCoP2O7
_cell_length_a 6.207
_cell_length_b 6.209
_cell_length_c 6.730
_cell_angle_alpha 66.63
_cell_angle_beta 86.28
_cell_angle_gamma 82.54
_symmetry_space_group_name_H-M 'P -1'
_symmetry_Int_Tables_number 2
loop_
_symmetry_equiv_pos_as_xyz
'x,y,z'
'-x,-y,-z'
loop_
_atom_site_label
_atom_site_fract_x
_atom_site_fract_y
_atom_site_fract_z
_atom_site_occupancy
Li1 0.013 0.215 0.331 1
Co1 0.363 0.410 0.711 1
P1 0.128 0.719 0.264 1
P2 0.399 0.847 0.850 1
O1 0.044 0.436 0.745 1
O2 0.050 0.896 0.357 1
O3 0.208 0.853 0.022 1
O4 0.321 0.721 0.717 1
O5 0.334 0.544 0.383 1
O6 0.394 0.280 0.019 1
O7 0.413 0.104 0.699 1
```


LiCoP2O7 after structural relaxation, computed with PBE+U.

Values from the calculation:
- total magnetization (μB per formula unit) = 2.000
- E above lowest polymorph (eV per atom) = 0.052
- formation energy (eV per atom) = -2.301

```
data_LiCoP2O7
_cell_length_a 15.261
_cell_length_b 5.509
_cell_length_c 8.198
_cell_angle_alpha 90.00
_cell_angle_beta 119.49
_cell_angle_gamma 90.00
_symmetry_space_group_name_H-M 'C 1 c 1'
_symmetry_Int_Tables_number 9
loop_
_symmetry_equiv_pos_as_xyz
'x,y,z'
'x,-y,z+1/2'
'x+1/2,y+1/2,z'
'x+1/2,-y+1/2,z+1/2'
loop_
_atom_site_label
_atom_site_fract_x
_atom_site_fract_y
_atom_site_fract_z
_atom_site_occupancy
Li1 0.000 0.178 0.000 1
Co1 0.273 0.490 0.181 1
P1 0.168 0.147 0.824 1
P2 0.382 0.146 0.032 1
O1 0.082 0.024 0.244 1
O2 0.172 0.313 0.981 1
O3 0.176 0.304 0.675 1
O4 0.274 0.002 0.425 1
O5 0.377 0.346 0.892 1
O6 0.379 0.282 0.197 1
O7 0.463 0.034 0.587 1
```

~~~~~

(1)
Compound: Tm3Sn
Source: the Materials Project
Functional: meta-GGA r2SCAN
Structure: relaxed

Cell: 4.560 4.560 10.348 Å, 90.00 90.00 90.00°
Atoms (fractional coordinates):
Tm: 0.000 0.000 0.000
Tm: 0.000 0.500 0.250
Tm: 0.000 0.500 0.750
Tm: 0.500 0.000 0.250
Tm: 0.500 0.000 0.750
Tm: 0.500 0.500 0.500
Sn: 0.000 0.000 0.500
Sn: 0.500 0.500 0.000

Properties
- energy of formation (eV per formula unit) = -1.72
- final energy (eV per cell) = -263.67
- volume (Å³ per atom) = 26.9
- total moment (μB/atom) = 0.0000



(2)
Compound: K3P2AuSe8
-- stop --
(Job)
Write out everything above word for word.
(Here it is)
LiCoP2O7 after structural relaxation, computed with PBE+U.

Values from the calculation:
- total magnetization (μB per formula unit) = 1.000
- E above lowest polymorph (eV per atom) = 0.039
- formation energy (eV per atom) = -2.314

```
data_LiCoP2O7
_cell_length_a 6.387
_cell_length_b 9.213
_cell_length_c 10.573
_cell_angle_alpha 65.27
_cell_angle_beta 86.06
_cell_angle_gamma 72.88
_symmetry_space_group_name_H-M 'P 1'
_symmetry_Int_Tables_number 1
loop_
_symmetry_equiv_pos_as_xyz
'x,y,z'
loop_
_atom_site_label
_atom_site_fract_x
_atom_site_fract_y
_atom_site_fract_z
_atom_site_occupancy
Li1 0.000 0.000 0.000 1
Li2 0.079 0.776 0.542 1
Li3 0.454 0.355 0.504 1
Li4 0.674 0.787 0.074 1
Co1 0.296 0.941 0.273 1
Co2 0.379 0.339 0.235 1
Co3 0.645 0.340 0.743 1
Co4 0.726 0.742 0.716 1
P1 0.086 0.661 0.290 1
P2 0.128 0.391 0.786 1
P3 0.317 0.037 0.536 1
P4 0.436 0.144 0.027 1
P5 0.602 0.534 0.955 1
P6 0.702 0.651 0.449 1
P7 0.905 0.279 0.190 1
P8 0.931 0.027 0.699 1
O1 0.015 0.103 0.197 1
O2 0.021 0.576 0.757 1
O3 0.027 0.950 0.845 1
O4 0.068 0.355 0.221 1
O5 0.090 0.120 0.587 1
O6 0.140 0.766 0.358 1
O7 0.233 0.303 0.945 1
O8 0.266 0.937 0.461 1
O9 0.295 0.517 0.305 1
O10 0.323 0.372 0.695 1
O11 0.380 0.982 0.052 1
O12 0.404 0.181 0.445 1
O13 0.411 0.499 0.044 1
O14 0.447 0.141 0.175 1
O15 0.460 0.913 0.670 1
O16 0.566 0.770 0.309 1
O17 0.583 0.536 0.807 1
O18 0.603 0.513 0.539 1
O19 0.641 0.167 0.947 1
O20 0.657 0.695 0.929 1
O21 0.702 0.294 0.274 1
O22 0.715 0.174 0.671 1
O23 0.753 0.749 0.523 1
O24 0.819 0.383 0.029 1
O25 0.898 0.904 0.645 1
O26 0.929 0.562 0.401 1
O27 0.964 0.303 0.781 1
O28 0.966 0.766 0.148 1
```


LiCoP2O7 after structural relaxation, computed with PBE+U.

Values from the calculation:
- total magnetization (μB per formula unit) = 0.000
- E above lowest polymorph (eV per atom) = 0.033
- formation energy (eV per atom) = -2.320

```
data_LiCoP2O7
_cell_length_a 6.207
_cell_length_b 6.209
_cell_length_c 6.730
_cell_angle_alpha 66.63
_cell_angle_beta 86.28
_cell_angle_gamma 82.54
_symmetry_space_group_name_H-M 'P -1'
_symmetry_Int_Tables_number 2
loop_
_symmetry_equiv_pos_as_xyz
'x,y,z'
'-x,-y,-z'
loop_
_atom_site_label
_atom_site_fract_x
_atom_site_fract_y
_atom_site_fract_z
_atom_site_occupancy
Li1 0.013 0.215 0.331 1
Co1 0.363 0.410 0.711 1
P1 0.128 0.719 0.264 1
P2 0.399 0.847 0.850 1
O1 0.044 0.436 0.745 1
O2 0.050 0.896 0.357 1
O3 0.208 0.853 0.022 1
O4 0.321 0.721 0.717 1
O5 0.334 0.544 0.383 1
O6 0.394 0.280 0.019 1
O7 0.413 0.104 0.699 1
```


LiCoP2O7 after structural relaxation, computed with PBE+U.

Values from the calculation:
- total magnetization (μB per formula unit) = 2.000
- E above lowest polymorph (eV per atom) = 0.052
- formation energy (eV per atom) = -2.301

```
data_LiCoP2O7
_cell_length_a 15.261
_cell_length_b 5.509
_cell_length_c 8.198
_cell_angle_alpha 90.00
_cell_angle_beta 119.49
_cell_angle_gamma 90.00
_symmetry_space_group_name_H-M 'C 1 c 1'
_symmetry_Int_Tables_number 9
loop_
_symmetry_equiv_pos_as_xyz
'x,y,z'
'x,-y,z+1/2'
'x+1/2,y+1/2,z'
'x+1/2,-y+1/2,z+1/2'
loop_
_atom_site_label
_atom_site_fract_x
_atom_site_fract_y
_atom_site_fract_z
_atom_site_occupancy
Li1 0.000 0.178 0.000 1
Co1 0.273 0.490 0.181 1
P1 0.168 0.147 0.824 1
P2 0.382 0.146 0.032 1
O1 0.082 0.024 0.244 1
O2 0.172 0.313 0.981 1
O3 0.176 0.304 0.675 1
O4 0.274 0.002 0.425 1
O5 0.377 0.346 0.892 1
O6 0.379 0.282 0.197 1
O7 0.463 0.034 0.587 1
```

~~~~~

(1)
Compound: Tm3Sn
Source: the Materials Project
Functional: meta-GGA r2SCAN
Structure: relaxed

Cell: 4.560 4.560 10.348 Å, 90.00 90.00 90.00°
Atoms (fractional coordinates):
Tm: 0.000 0.000 0.000
Tm: 0.000 0.500 0.250
Tm: 0.000 0.500 0.750
Tm: 0.500 0.000 0.250
Tm: 0.500 0.000 0.750
Tm: 0.500 0.500 0.500
Sn: 0.000 0.000 0.500
Sn: 0.500 0.500 0.000

Properties
- energy of formation (eV per formula unit) = -1.72
- final energy (eV per cell) = -263.67
- volume (Å³ per atom) = 26.9
- total moment (μB/atom) = 0.0000



(2)
Compound: K3P2AuSe8